Delhi, June 23: With the steep surge in the incidents of gang rape, India appears all set to achieve the top slot among the nations that are notorious for such heinous crimes against women as patriarchy and a skewed sex ratio between male and female make the evil of violence against women from all communities and classes worse.


The rise in the cases of violence against women has reached an alarming level because India is among the countries whose cultural traditions are based on gender inequality that help increase violence against women as post-colonial social and political processes fail to usher equality within the civil society making India a dangerous and unsafe place for women to live as is evident from many travel advisories issued to travellers to India.

Between two parts of the text: materials data:
┌──
(1)
! BeTe2F PBE relaxed; values from VASP
! Total magnetic moment ... 0.00 μB per formula unit
! Formation energy from raw total energies ... -37.3 kJ/mol of atoms
! D(E_F) ... 0.82 states/eV per atom
! Space-group type ... R-3m
! Polymorph energy (0 for the lowest one) ... 0 meV/atom
&SYSTEM
  ibrav = 0, nat = 4, ntyp = 3
/
ATOMIC_SPECIES
Be 9.01 Be.upf
Te 127.60 Te.upf
F 19.00 F.upf
CELL_PARAMETERS angstrom
1.896 1.095 7.362
-1.896 1.095 7.362
0.000 -2.189 7.362
ATOMIC_POSITIONS angstrom
Be 0.000 0.000 0.000
Te 0.000 0.000 8.741
Te 0.000 0.000 13.344
F 0.000 0.000 11.043



(2)
! BeTe2F PBE relaxed; values from VASP
! Total magnetic moment ... 0.00 μB per formula unit
! Formation energy from raw total energies ... -22.9 kJ/mol of atoms
! D(E_F) ... 0.40 states/eV per atom
! Space-group type ... Fm-3m
! Polymorph energy (0 for the lowest one) ... 149 meV/atom
&SYSTEM
  ibrav = 0, nat = 4, ntyp = 3
/
ATOMIC_SPECIES
Be 9.01 Be.upf
Te 127.60 Te.upf
F 19.00 F.upf
CELL_PARAMETERS angstrom
0.000 3.279 3.279
3.279 0.000 3.279
3.279 3.279 0.000
ATOMIC_POSITIONS angstrom
Be 0.000 0.000 0.000
Te 1.639 1.639 1.639
Te 4.918 4.918 4.918
F 3.279 3.279 3.279



(3)
! BeTeF2 PBE relaxed; values from VASP
! Total magnetic moment ... 0.00 μB per formula unit
! Formation energy from raw total energies ... -23.4 kJ/mol of atoms
! D(E_F) ... 0.83 states/eV per atom
! Space-group type ... Fm-3m
! Polymorph energy (0 for the lowest one) ... 1705 meV/atom
&SYSTEM
  ibrav = 0, nat = 4, ntyp = 3
/
ATOMIC_SPECIES
Be 9.01 Be.upf
Te 127.60 Te.upf
F 19.00 F.upf
CELL_PARAMETERS angstrom
0.000 3.078 3.078
3.078 0.000 3.078
3.078 3.078 0.000
ATOMIC_POSITIONS angstrom
Be 0.000 0.000 0.000
Te 3.078 3.078 3.078
F 1.539 1.539 1.539
F 4.617 4.617 4.617



(4)
! BeTeF2 PBE relaxed; values from VASP
! Total magnetic moment ... 0.00 μB per formula unit
! Formation energy from raw total energies ... -187.9 kJ/mol of atoms
! D(E_F) ... 0.19 states/eV per atom
! Space-group type ... Fd-3m
! Polymorph energy (0 for the lowest one) ... 0 meV/atom
&SYSTEM
  ibrav = 0, nat = 8, ntyp = 3
/
ATOMIC_SPECIES
Be 9.01 Be.upf
Te 127.60 Te.upf
F 19.00 F.upf
CELL_PARAMETERS angstrom
0.000 3.831 3.831
3.831 0.000 3.831
3.831 3.831 0.000
ATOMIC_POSITIONS angstrom
Be 0.958 0.958 0.958
Be 6.704 6.704 6.704
Te 2.873 2.873 2.873
Te 4.789 4.789 4.789
F 0.000 0.000 0.000
F 1.915 1.915 0.000
F 1.915 0.000 1.915
F 0.000 1.915 1.915



(5)
! BeTeF2 PBE relaxed; values from VASP
! Total magnetic moment ... 0.29 μB per formula unit
! Formation energy from raw total energies ... -179.9 kJ/mol of atoms
! D(E_F) ... 0.25 states/eV per atom
! Space-group type ... R-3m
! Polymorph energy (0 for the lowest one) ... 83 meV/atom
&SYSTEM
  ibrav = 0, nat = 4, ntyp = 3
/
ATOMIC_SPECIES
Be 9.01 Be.upf
Te 127.60 Te.upf
F 19.00 F.upf
CELL_PARAMETERS angstrom
1.470 0.848 9.801
-1.470 0.848 9.801
0.000 -1.697 9.801
ATOMIC_POSITIONS angstrom
Be 0.000 0.000 0.000
Te 0.000 0.000 14.702
F 0.000 0.000 10.632
F 0.000 0.000 18.772
└──
End of the materials data:


Despite being discussed in society and having public apathy, crimes against women in general and gang rape, in particular, have never become an issue on which elections could be fought and successive government be made accountable for failing to stem this social evil that has made women including minors most vulnerable.


“A few ancient traditions legitimises rape as a form of marriage and give it some degree of legal sanction to a woman who has been raped. So far nothing has changed after Nirbhya gang rape of 2012 that sparked global outrage and public protests. But the good news is that there is higher and better reporting of rape and gang rape. The bad news is that a shambolic criminal justice system remains vulnerable to political pressure and allows many of the accused to go scot-free,” wrote Wendy Doniger, a US-based Indologist.


The growing involvement of minors in the cases of gang rape has emerged as a new phenomenon in recent time and is causing serious worries within society, police and administration. The social scientists and police link this phenomenon with the advent of new technology, easy access to information and the availability of smartphones which has compounded the problem. There are dozens of cases where rapists have recorded their acts of rapes on their smartphones and threatened the victims that they would put up the rape videos on social media if the victims report the crime. 


More than 7,200 minors – 1.6 in 100,000 minors – are reportedly raped in India each year. Most victims of sexual crimes don't report the assaults due to the alleged mistreatment and humiliation by the police. Also, minor girls are trafficked into prostitution in India, thus the rape of minors conflates into a lifetime of suffering. India ranks seventh in sex trafficking and crimes against minors index.


There is the other side of the story also, where minors are involved in being involved in crimes, "A lot of minors are committing crimes like rape because they are under the influence of songs, movies on the net and television serials that don’t portray women in a positive manner and lyrics of most of the current songs are filthy. All these things poison the mind of kids. It is imperative on all the stakeholders in the society and administration that such trends are not promoted,” said New Delhi -stationed Dr Ms Sonu Ghambir, a psychiatrist.


The society in many of the Indian states particularly in the northern region has never been gender-sensitive and there is no place for equality between the sexes in many states in India where the sex ratio is badly skewed. It should be pointed out that a deep-rooted Khap Panchayat system promotes honour killings and inequality within the society which further strengthens patriarchy.


The easy access to pornography through new telecommunications technology is also a challenge to the security of women particularly Dalits who are most vulnerable to such crime in Indian society.


“Feminist movements in India need to collaborate on and advance the demands for justice for victims of sexualised crimes. To do so, organisations need to develop an intersectional approach, allowing Dalit women to take the lead. Doing this work could help challenge caste bias in the legal and institutional systems," said Sanjana Pegu, Delhi-based feminist write and a researcher on women relating issues. 


The data from the National Crime Record Bureau says up to May 2018, 70 cases of gang rapes were filed in the various states and of these 33 cases are being still probed and 18 cases are under trial. In 2019 

alone, 176 cases of gang rape were registered in Haryana that not only makes it notorious for crime but also a highly unsafe place for women.


The government figure on the rape cases revealed that cases of rape against scheduled castes women have increased by 37 per cent.


Overall crime against women increased by 23.3 per cent and although more crime against women and Dalits were reported, the investigation and prosecution of these cases were tardier than other categories.


“North India especially UP, MP, Rajasthan, Haryana and also Delhi have faced and suffered a lot of social oppression, caste biases and atrocities in the name of caste. People have less faith in law and justice. Moreover, failure of people's movement, failure of media, lack of sex education, misuse of technology, decreasing governmental intrusion in this regard (as a cure), psychological aspects, extremely materialistic lives, sense of future consequences, less parental control are few reasons behind the increasing number of hate crime or such gruesome crimes in these (Northern) states," said Neetu Tiwari, a senior lawyer and an expert in juvenile justice law who practices in Supreme Court 

 Rape made for nearly 8% of crimes against women in India in 2019 when a total of 32,316 cases (including 283 incidents of murder with rape and rape of girls) were registered. This averages 88 rape cases a day or one rape every 16 minutes. Of these reported cases, 60% are in the age group of 18-30 years.


Gang rape constituted nearly 6% of all rape cases in India with 1,931 cases registered during 2019. Rajasthan recorded the highest number of gang rapes (902), followed by Uttar Pradesh (301) and Madhya Pradesh (162).